News from space

Inserted here: data records.
........
Here is 3 unconnected molecules or ions with the total composition C5H14NO3S from the OMol25 dataset. Energies are from wB97M-V/def2-TZVPD.

Calculated values
E ... -23881.9230 eV
Net charge ... -1
Orbital gap ... 6.56 eV
Energy above the lowest of the compared OMol25 structures with the same formula, charge and spin ... 0.000 eV

Each atom is followed by the atoms it is bonded to, with distances in Å.
Geometry (Å):
1 C -1.28699 0.39514 -0.93719  C2 1.531, C4 1.505, H9 1.089, H10 1.094
2 C -0.96199 -0.31343 -2.25519  C1 1.531, S3 1.831, H11 1.091, H12 1.093
3 S -0.02041 -1.86243 -1.99786  C2 1.831
4 C -0.08770 0.40080 -0.02797  C1 1.505, N5 1.395, O8 1.229
5 N -0.09187 -0.31917 1.16728  C4 1.395, C6 1.455, C7 1.458
6 C -0.98336 -1.45817 1.32302  N5 1.455, H13 1.095, H14 1.084, H15 1.093
7 C 1.23134 -0.56564 1.72781  N5 1.458, H16 1.085, H17 1.094, H18 1.089
8 O 0.83845 1.18204 -0.23657  C4 1.229
9 H -2.15513 -0.07733 -0.47921  C1 1.089
10 H -1.54803 1.43723 -1.14558  C1 1.094
11 H -1.86249 -0.50975 -2.83955  C2 1.091
12 H -0.35484 0.34997 -2.87572  C2 1.093
13 H -0.98179 -1.75179 2.37757  C6 1.095
14 H -2.00278 -1.19257 1.06760  C6 1.084
15 H -0.68705 -2.30116 0.69443  C6 1.093
16 H 1.85677 0.31437 1.62463  C7 1.085
17 H 1.69259 -1.41599 1.21701  C7 1.094
18 H 1.14665 -0.78098 2.79221  C7 1.089
19 H -0.30309 1.60847 2.28258  O21 0.967
20 H 0.49182 2.55041 1.46125  O21 0.982
21 O -0.00044 2.52661 2.31090  H19 0.967, H20 0.982
22 H 1.80293 1.05797 -1.80692  O24 0.983
23 H 2.01673 -0.09671 -2.79469  O24 0.959
24 O 2.25069 0.82210 -2.64983  H22 0.983, H23 0.959

Charges per atom according to Mulliken partitioning, unit e:
1 C -0.66
2 C -0.90
3 S -0.60
4 C 0.61
5 N 0.20
6 C -1.05
7 C -1.07
8 O -0.79
9 H 0.33
10 H 0.27
11 H 0.38
12 H 0.29
13 H 0.29
14 H 0.32
15 H 0.30
16 H 0.32
17 H 0.36
18 H 0.38
19 H 0.39
20 H 0.34
21 O -0.68
22 H 0.42
23 H 0.27
24 O -0.71


1.
Below is 2 unconnected molecules or ions with the total composition C3H10N2O, with properties calculated with ωB97M-V/def2-TZVPD.

Values from the calculation:
ΔE to the lowest compared entry with this formula, charge and spin ... 137.22 kJ/mol
HOMO-LUMO gap ... 10.165 eV
Largest force on an atom ... 0.89 eV/Å
DFT total energy ... -8300.0818 eV
HOMO level ... -9.1 eV
SMILES ... CC=O.NCN

Each line ends with the natural charge from an NBO analysis.
CARTESIAN COORDINATES (ANGSTROEM)
1 O -3.870 1.955 3.601  -0.5148
2 C -3.914 2.327 2.458  0.4386
3 C -5.025 3.161 1.901  -0.7240
4 H -3.126 2.091 1.737  0.1019
5 H -4.599 4.058 1.437  0.2318
6 H -5.813 3.417 2.609  0.2341
7 H -5.473 2.646 1.038  0.2325
8 N 5.044 -2.370 -3.089  -0.8280
9 C 3.619 -2.294 -2.828  -0.0580
10 N 3.208 -2.333 -1.415  -0.8633
11 H 5.558 -1.636 -2.607  0.3450
12 H 5.396 -3.232 -2.676  0.3446
13 H 3.253 -1.361 -3.250  0.1696
14 H 3.187 -3.121 -3.384  0.1767
15 H 2.859 -3.234 -1.125  0.3607
16 H 3.990 -2.035 -0.849  0.3528

2.
........
Here the article continues.

The galaxy, EGS-zs8-1, was originally identified based on its particular colours in images from Hubble and Spitzer and is one of the brightest and most massive objects in the early universe. "It has already grown to more than 15 percent of the mass of our own Milky Way today," said Pascal Oesch, lead author of the study from Yale University, New Haven, Connecticut. "But it had only 670 million years to do so. The universe was still very young then." The new distance measurement also enabled the astronomers to determine that EGS-zs8-1 was still forming stars very rapidly, about 80 times faster than our Milky Way galaxy today (which has a star formation rate of one star per year).

Only a handful of galaxies currently have accurate distances measured in this very early universe. "Every confirmation adds another piece to the puzzle of how the first generations of galaxies formed in the early universe," said Pieter van Dokkum of Yale, second author of the study. "Only the most sensitive telescopes are powerful enough to reach to these large distances." The discovery was only possible thanks to the relatively new Multi-Object Spectrometer For Infra-Red Exploration (MOSFIRE) instrument on the Keck I telescope, which allows astronomers to efficiently study several galaxies at the same time.

**Between two parts of the piece: molecular data**
~~~
No. 1
A molecular structure, C39H37BIrN3O5P2. Source: the OMol25 dataset; level of theory: ωB97M-V with the def2-TZVPD basis set.

XYZ file:
```
88
Properties=species:S:1:pos:R:3
Ir 1.0668 0.1422 -0.1331
N 1.7272 -0.4100 2.2568
P 1.5120 -1.7723 -0.9326
C 0.2896 -3.0495 -0.4943
C -0.9197 -3.1277 -1.1824
C -1.8605 -4.0833 -0.8306
C -1.6101 -4.9628 0.2144
C -0.4159 -4.8780 0.9143
C 0.5305 -3.9255 0.5626
C 3.1037 -2.4961 -0.4140
C 3.4518 -3.7827 -0.8257
C 4.6949 -4.3075 -0.5137
C 5.6098 -3.5469 0.2038
C 5.2782 -2.2607 0.5998
C 4.0297 -1.7380 0.2899
P 0.5020 0.5299 2.5064
C 0.4856 1.3371 4.1235
C 1.6836 1.8152 4.6560
C 1.7080 2.4099 5.9059
C 0.5339 2.5269 6.6398
C -0.6591 2.0454 6.1232
C -0.6845 1.4507 4.8693
C -1.0610 -0.3363 2.3604
C -1.1734 -1.5102 3.1035
C -2.3244 -2.2795 3.0186
C -3.3648 -1.8821 2.1924
C -3.2569 -0.7114 1.4530
C -2.1100 0.0602 1.5371
H 2.5979 -0.1647 2.7153
H -1.1224 -2.4389 -1.9916
H -2.7951 -4.1402 -1.3749
H -2.3456 -5.7109 0.4832
H -0.2169 -5.5548 1.7361
H 1.4516 -3.8503 1.1263
H 2.7456 -4.3735 -1.3956
H 4.9531 -5.3083 -0.8354
H 6.5831 -3.9553 0.4448
H 5.9950 -1.6584 1.1437
H 3.7732 -0.7314 0.5926
H 2.6024 1.7262 4.0879
H 2.6412 2.7795 6.3101
H 0.5524 2.9890 7.6182
H -1.5727 2.1272 6.6973
H -1.6166 1.0667 4.4736
H -0.3451 -1.8383 3.7200
H -2.3979 -3.2000 3.5826
H -4.2561 -2.4914 2.1149
H -4.0566 -0.4063 0.7902
H -2.0174 0.9461 0.9290
O 1.8191 -2.1181 -2.5631
N 1.0577 -1.3876 -3.4462
N 1.6796 -0.3200 -3.7429
O 2.7778 0.0473 -3.3165
C 0.9374 0.5659 -4.6436
C 1.3584 1.8801 -4.7053
C 0.6526 2.7673 -5.5047
C -0.4477 2.3316 -6.2276
C -0.8466 1.0035 -6.1557
C -0.1572 0.1064 -5.3569
H 2.2160 2.1833 -4.1236
H 0.9631 3.8024 -5.5573
H -0.9991 3.0274 -6.8465
H -1.7071 0.6640 -6.7168
H -0.4623 -0.9256 -5.2736
C 1.2191 3.9875 2.0201
C 0.1625 3.1645 1.3112
C -1.2398 3.4362 1.8077
O 0.5232 1.7399 1.3724
H 1.1006 5.0343 1.7381
H 2.2176 3.6650 1.7241
H 1.1263 3.9148 3.1041
H 0.2029 3.3591 0.2412
H -1.3903 3.0537 2.8186
H -1.9861 3.0082 1.1429
H -1.3903 4.5166 1.8369
O -1.2307 -0.1648 -2.2887
B -0.4257 0.5223 -1.3415
O -1.0201 1.8535 -1.2120
C -2.0965 1.8954 -2.0418
C -2.9798 2.9274 -2.2673
C -4.0172 2.6910 -3.1731
C -4.1507 1.4655 -3.8112
C -3.2497 0.4245 -3.5733
C -2.2294 0.6720 -2.6853
H -2.8686 3.8803 -1.7662
H -4.7303 3.4787 -3.3785
H -4.9665 1.3125 -4.5056
H -3.3422 -0.5350 -4.0651
```

The frontier orbital gap is 0.2650 Ha. The calculation puts the largest force on an atom at 0.907 eV/Å. The total charge is 0. The total energy is -2860.7261 Eh. The value obtained for the LUMO energy is 0.4 eV.

No. 2
C4H9N3O in the gas phase at a distorted geometry. Source: the OMol25 dataset; level of theory: ωB97M-V with the def2-TZVPD basis set.

XYZ file:
```
17
Properties=species:S:1:pos:R:3
C -1.0308 -0.6121 -0.9415
C -0.1213 -1.5154 0.0785
C -0.4124 0.8082 -0.6311
C 0.5653 -0.6025 1.0317
N 0.6795 1.1185 -1.5446
N -0.1350 0.6994 0.7693
N -0.2984 1.6636 1.6913
O 0.2916 1.4289 2.7771
H -0.9720 -0.7348 -2.0729
H -2.0654 -0.7996 -0.5884
~~~

SpaceX's Dragon capsule launches, Wednesday, May , 2015, from Cape Canaveral, Fla. SpaceX fired the mock-up capsule to test the new, super-streamlined launch escape system for astronauts. 

This artist's rendering provided by the Johns Hopkins University Applied Physics Laboratory shows the sunshade on the MErcury Surface, Space ENvironment, GEochemistry, and Ranging (Messenger) around the planet Mercury. The sunshade shields the spacecraft's instruments from heat and solar radiation. (Johns Hopkins University Applied Physics Laboratory via AP) Image converted using ifftoany

photo provided by NASA shows one of the last images sent by the Messenger spacecraft which is expected to impact the surface of the planet Mercury on Thursday, April , 2015. The largest crater in this image has a diameter of 330 meters (0.2 miles).

This photo from a sequence of images provided by NASA, taken from the Dawn spacecraft of Ceres, a dwarf planet located in the asteroid belt between Mars and Jupiter. NASA said the start of science observations was slightly delayed because of a communication glitch. The space agency said the delay won't affect the overall mission. 

Here the article breaks off for data records:
'''
1.
50
Properties=species:S:1:pos:R:3 method="wB97M-V/def2-TZVPD" homo_energy_ev=-8.62 mol_weight_g_mol=448.522 max_force_ev_per_a=19.93 lumo_ev=-0.74 homo_lumo_gap_ev=7.8756
O -2.161 -0.048 -1.477
C -2.334 -1.233 -1.711
O -1.449 -2.083 -1.866
H -0.544 -1.864 -1.806
C -3.891 -1.925 -1.847
H -3.997 -2.713 -2.289
H -4.674 -1.113 -1.931
C -4.376 -2.124 -0.394
H -5.054 -2.997 -0.435
C -5.097 -1.101 0.456
C -4.441 0.458 0.689
H -5.195 1.131 0.856
C -3.248 0.002 1.620
N -1.970 0.682 1.209
C -1.033 -0.300 0.769
N 0.017 -0.010 0.383
C 0.253 1.109 -0.231
C -0.774 2.181 0.093
C -1.805 2.072 0.723
O -2.802 2.785 1.241
S -0.420 3.731 -0.843
C 0.918 3.149 -1.301
C 1.233 1.864 -1.074
H 1.985 1.195 -1.315
H 1.647 3.834 -2.333
S -1.006 -1.901 1.432
C 0.518 -2.533 0.717
H 0.417 -3.099 0.105
C 0.914 -1.245 -0.135
O 0.807 -1.446 -1.418
C 2.425 -0.718 0.091
C 2.699 -0.286 1.240
C 4.074 0.093 1.689
C 5.035 -0.330 0.736
C 4.702 -0.848 -0.474
C 3.465 -0.887 -0.739
H 3.177 -1.520 -1.899
O 5.773 -0.995 -1.078
H 5.412 -1.371 -2.135
O 6.226 0.233 1.156
H 6.975 -0.226 0.468
H 4.166 0.573 2.853
H 1.859 -0.094 2.120
H 1.165 -2.662 1.556
H -3.593 0.929 2.484
H -3.007 -0.892 2.115
H -3.856 0.455 -0.235
H -5.906 -0.980 -0.072
H -5.428 -1.354 1.331
H -3.609 -2.374 0.358


2.
21
Properties=species:S:1:pos:R:3 method="wB97M-V/def2-TZVPD" smiles="C1=C/N[C@H]2C[C@@H](CN/1)C2" homo_energy_ev=-8.26 mol_weight_g_mol=124.187 max_force_ev_per_a=7.06 lumo_ev=0.89 homo_lumo_gap_ev=9.1549
C 1.282 1.215 0.329
C 0.231 1.486 -0.459
N -1.217 1.614 -0.187
C -1.703 0.190 0.153
C -0.806 -0.691 1.173
C 0.004 -1.457 -0.028
C 1.490 -1.131 -0.206
N 2.118 0.196 -0.120
C -1.375 -0.943 -0.858
H 1.029 1.467 1.337
H 0.484 1.293 -1.588
H -1.436 2.143 0.619
H -2.738 0.152 0.429
H -1.354 -1.616 1.501
H -0.415 -0.054 1.939
H 0.038 -2.427 0.244
H 1.745 -1.553 -1.213
H 1.837 -1.844 0.537
H 2.998 0.354 0.528
H -1.974 -1.938 -0.829
H -1.260 -0.662 -1.974


3.
9
Properties=species:S:1:pos:R:3 method="wB97M-V/def2-TZVPD" charge=+1 homo_energy_ev=-14.77 mol_weight_g_mol=66.993 max_force_ev_per_a=2.70 lumo_ev=-5.27 homo_lumo_gap_ev=9.5030
C -0.753 -0.505 0.283
C -1.849 0.252 -0.099
O 0.281 0.025 -0.431
H -0.582 -1.552 0.524
H -2.737 -0.346 -0.321
H -2.051 1.141 0.508
H -0.493 0.922 -0.844
Li 2.817 -0.726 -0.519
O 1.461 0.177 0.344


4.
70
Properties=species:S:1:pos:R:3 method="wB97M-V/def2-TZVPD" charge=+1 homo_energy_ev="-11.00 / -11.07" mol_weight_g_mol=742.676 multiplicity=2 max_force_ev_per_a=2.10 lumo_ev="-4.49 / -4.05" homo_lumo_gap_ev="6.5100 / 7.0164"
Re 0.320 -0.053 -0.242
C 0.606 -1.922 -2.816
N 1.308 -0.806 -2.123
C 2.706 -1.266 -1.848
C 2.968 -1.947 -0.491
C 1.817 -2.672 0.209
N 0.940 -1.696 0.864
C 0.721 -1.844 2.130
C -0.019 -1.001 3.010
C -0.140 -1.424 4.345
C -0.894 -0.727 5.255
C -1.560 0.432 4.840
C -1.457 0.875 3.542
C -0.687 0.177 2.601
O -0.642 0.660 1.369
C 1.386 0.338 -3.082
C 0.047 0.919 -3.536
C -0.753 1.714 -2.470
N -0.033 1.759 -1.200
C 0.358 2.907 -0.762
C 1.296 3.133 0.292
'''
So much for the data records:

Sarah Amiri, Deputy Project Manager of a planned United Arab Emirates Mars mission talks about the project named "Hope" - or "al-Amal" in Arabic - which is scheduled be launched in 2020, during a ceremony in Dubai, UAE, Wednesday, May 6, 2015. It would be the Arab world's first space probe to Mars and will take seven to nine months to reach the red planet, arriving in 2021. Emirati scientists hope the unmanned probe will provide a deeper understanding of the Martian atmosphere, and expect it to remain in orbit until at least 2023.